To do
It remains to say how many lines of the data underneath hold the word "smiles", as a bare number.
Entries
┌──
# 1
100
Properties=species:S:1:pos:R:3 method="wB97M-V/def2-TZVPD" energy_ev=-101754.21692 multiplicity=3 orbital_gap_ha="0.22443 / 0.24073" homo_energy_ev="-15.8 / -15.8" charge=+3
Mo -0.943 0.343 -0.633
O 1.890 -0.129 0.578
C 2.565 1.069 0.835
C 3.891 1.047 1.251
C 4.503 2.250 1.615
C 3.821 3.455 1.591
C 2.479 3.441 1.220
C 1.830 2.270 0.839
P 0.054 2.370 0.476
C -0.731 3.206 1.856
C -0.335 2.930 3.161
C -0.880 3.658 4.216
C -1.863 4.620 3.951
C -2.299 4.860 2.651
C -1.728 4.159 1.598
C -0.357 3.346 -0.975
C 0.528 4.215 -1.582
C 0.112 4.919 -2.710
C -1.137 4.656 -3.264
C -2.021 3.743 -2.686
C -1.631 3.111 -1.524
C 2.352 -1.134 -0.259
C 3.593 -1.236 -0.861
C 3.896 -2.405 -1.574
C 2.967 -3.417 -1.754
C 1.710 -3.281 -1.184
C 1.396 -2.156 -0.451
P -0.182 -1.824 0.302
C -1.437 -2.980 -0.276
C -1.798 -2.920 -1.633
C -2.809 -3.738 -2.110
C -3.478 -4.592 -1.233
C -3.180 -4.604 0.114
C -2.145 -3.806 0.593
C 0.056 -1.968 2.086
C 0.504 -3.214 2.551
C 0.818 -3.365 3.906
C 0.687 -2.269 4.751
C 0.299 -1.016 4.279
C -0.011 -0.866 2.937
H 4.438 0.117 1.358
H 5.533 2.232 1.942
H 4.285 4.398 1.888
H 1.917 4.370 1.219
H 0.460 2.233 3.364
H -0.545 3.496 5.236
H -2.286 5.220 4.749
H -3.008 5.660 2.466
H -2.024 4.391 0.589
H 1.536 4.360 -1.196
H 0.782 5.626 -3.177
H -1.454 5.130 -4.175
H -2.991 3.521 -3.143
H -2.359 2.495 -1.014
H 4.311 -0.436 -0.805
H 4.875 -2.506 -2.024
H 3.200 -4.323 -2.294
H 0.961 -4.044 -1.288
H -1.282 -2.292 -2.342
H -3.049 -3.736 -3.168
H -4.271 -5.230 -1.628
H -3.693 -5.299 0.780
H -1.882 -3.840 1.638
H 0.591 -4.029 1.859
H 1.149 -4.324 4.284
H 0.941 -2.358 5.794
H 0.262 -0.161 4.953
H -0.298 0.104 2.550
O -2.482 0.271 0.579
S -3.149 -0.691 1.688
C -3.245 0.217 3.269
C -4.535 -0.373 3.826
C -5.602 -0.332 2.713
C -4.909 -0.487 1.331
H -3.272 1.291 3.042
H -2.364 -0.002 3.865
H -4.872 0.145 4.723
H -4.319 -1.402 4.132
H -6.135 0.618 2.738
H -6.350 -1.098 2.865
H -4.955 0.426 0.739
H -5.256 -1.332 0.743
C 4.548 -2.866 -5.451
C 3.434 -2.000 -4.935
C 3.707 -0.671 -4.657
C 2.761 0.151 -4.089
C 1.524 -0.424 -3.769
C 1.190 -1.724 -4.125
C 2.157 -2.505 -4.729
S 0.440 0.644 -3.025
O 0.309 1.808 -3.820
O -0.898 -0.052 -2.646
O 0.909 0.909 -1.592
H 5.480 -2.333 -5.470
H 4.354 -3.216 -6.464
H 4.646 -3.757 -4.825
H 4.693 -0.273 -4.897
H 2.938 1.185 -3.871
H 0.205 -2.122 -3.957
H 1.958 -3.529 -4.989

# 2
19
Properties=species:S:1:pos:R:3 method="wB97M-V/def2-TZVPD" energy_ev=-9810.53484 orbital_gap_ha="0.29754 / 0.30355" homo_energy_ev="-18.8 / -18.8" charge=+2
C -0.302 1.828 0.290
C -1.695 -0.064 0.055
C 1.173 0.001 -0.376
C -2.822 -0.865 0.136
C 2.584 -0.447 0.036
N 0.895 1.329 0.030
N -1.498 1.161 0.111
N 0.437 -0.845 0.418
H -0.472 2.880 0.562
H 1.114 0.060 -1.545
H -2.646 -1.916 0.416
H -3.423 -0.902 -0.788
H -3.555 -0.407 0.991
H 3.285 -0.589 -0.855
H 2.408 -1.522 0.433
H 3.169 0.016 0.781
H 1.618 2.023 0.075
H -2.295 1.782 0.219
H 0.494 -1.760 0.022

# 3
60
Properties=species:S:1:pos:R:3 method="wB97M-V/def2-TZVPD" energy_ev=-46753.59777 smiles="COC(=O)OC.COC(=O)OC.COC(=O)OC.COC(=O)OC.COC(=O)OC" orbital_gap_ha=0.41142 homo_energy_ev=-10.6 charge=0
C 19.969 -21.192 -19.344
O 18.731 -21.030 -18.626
C 18.315 -22.078 -17.940
O 18.856 -23.156 -17.907
O 17.194 -21.755 -17.306
C 16.823 -22.573 -16.211
H 20.197 -20.177 -19.650
H 19.831 -21.908 -20.148
H 20.753 -21.500 -18.656
H 17.595 -22.614 -15.443
H 16.540 -23.579 -16.520
H 15.950 -22.100 -15.774
C 19.545 -19.413 -14.951
O 20.781 -18.673 -15.012
C 21.463 -18.786 -16.160
O 21.101 -19.435 -17.097
O 22.587 -18.076 -16.162
C 22.882 -17.204 -15.044
H 19.266 -19.414 -13.902
H 19.696 -20.434 -15.290
H 18.778 -18.915 -15.537
H 22.192 -16.360 -15.069
H 23.899 -16.891 -15.238
H 22.747 -17.700 -14.088
C 21.844 -17.395 -25.253
O 20.724 -17.584 -24.404
C 20.879 -17.649 -23.086
O 19.975 -17.806 -22.324
O 22.172 -17.527 -22.720
C 22.443 -17.720 -21.345
H 22.486 -18.274 -25.271
H 22.440 -16.535 -24.945
H 21.460 -17.181 -26.246
H 23.521 -17.844 -21.272
H 21.920 -18.599 -20.964
└──
Solution
1